All for you


Joana: I've miss you soo much

Derin: I thought you was mad at me so I didn't reach out. What was surpose to be romantic turn horrible.

He talk so much thats not what I meant. I leaned in and kiss him. He understood now. He smiled and kept kissing me I took off his t shirt

Derin: Babe I don't know, your huge! Won't I hurt you?

Joana: It's fine, You could hurt me!

I help him took of his shirt he was soo hesitant. I wasn't taking no as a answer. I started to kiss his neck. He finally hold me by the waist. He was ready as always, he had alot of juice on his pole already, maybe Im not the only one who wanted this? When he finally stop being hesitant and got inside. I instantly remember Why I love him so much. He knew my body. I never tense up when we made love. I love having my senses caress by him. I love his strokes. I love his inches. The way his hands hold my waist or When He looks to ask me "am I okay?" Showing he cares so much. I wanted him to hit everything, To feel everything; because he was my everything

Derin: Oh wow how horny were you? Thats alot of water. Haha you miss Daddy huh?

I felt such a sharp pain. My Stomach kept hurting.

Derin: Babe you okay?

Joana: Hospital now!

He looked like he was running like a chicken with his head cut off. I find a sundress, threw it on and ask him to bring me to his doctor, his my provider.

Derin: Right!

Joana: Sexy am trying to keep calm but you have to move.

Derin: Yeah

I never mind him, he just stood in my room saying "right" I grab his keys and drove myself there he was in the passenger seat like. "It's happening? oh God you think it's because of me?"

Am pretty sure my contractions was far apart. I made it to his personal clinic. The doctor called the ambulance and explain we are having the baby in my nearest hospital but he will deliver it. We Got to this fancy hospital everything seems organized. We got to a spacy room. It had three couches, own bathroom. He took a seat

Derin: Baby do you think the baby is okay?

Joana: Yes, baby you did great

He smiled that seems to calm him down. I called my parents along with Keisha informing them am at the hospital. My water broke but my contractions was slowing down. He was sitting there like a idiot constantly asking me "am I okay?" I had half a mind to scream "Do I look okay Derin?" But I know it's his first child soo I'll cut em some slack. My mom came and had me walking back and forth to help the baby come down.

Doctor: Can I have a minute with patient please.

He said walking in the room.

Everyone agreed and left the room.

Doctor: How are you feeling?

Joana: I want these babies out

Doctor: So you have a few option to induce labor. You can have sex here to relax and let it come down, I can give you meds to help the process. If you like I can do a C section and get the babies out.

=====
MgTcPb2: optimized geometry, PBE.

```
4
Lattice="-1.834 2.663 4.584 1.834 -2.663 4.584 1.834 2.663 -4.584" Properties=species:S:1:pos:R:3 pbc="T T T"
Mg 0.000 0.000 0.000
Tc 0.000 0.000 4.584
Pb 1.834 0.000 2.418
Pb 0.000 2.663 2.165
```

## Properties
Its density of states at the Fermi level is 3.8 states/eV/f.u. The energy of formation is 0.459 eV/atom. As for the symmetry: No. 71.

---

Mg2TcPb: optimized geometry, PBE.

```
4
Lattice="3.115 0.000 0.000 0.000 3.115 0.000 0.000 0.000 8.983" Properties=species:S:1:pos:R:3 pbc="T T T"
Mg 0.000 0.000 0.000
Mg 1.558 1.558 2.383
Tc 1.558 1.558 7.193
Pb 0.000 0.000 5.154
```

## Properties
Its density of states at the Fermi level is 2.5 states/eV/f.u. The energy of formation is 0.380 eV/atom. As for the symmetry: No. 99.

---

Mg2TcPb: optimized geometry, PBE.

```
4
Lattice="5.025 -1.499 0.000 5.025 1.499 0.000 -0.705 0.000 5.280" Properties=species:S:1:pos:R:3 pbc="T T T"
Mg 0.000 0.000 0.000
Mg 1.880 0.000 3.970
Tc 4.714 0.000 2.788
Pb 7.453 0.000 1.488
```

## Properties
Its density of states at the Fermi level is 2.7 states/eV/f.u. The energy of formation is 0.317 eV/atom. As for the symmetry: No. 8.

---

Mg2TcPb: optimized geometry, PBE.

```
4
Lattice="-1.752 2.277 4.878 1.752 -2.277 4.878 1.752 2.277 -4.878" Properties=species:S:1:pos:R:3 pbc="T T T"
Mg 0.000 0.000 2.219
Mg 0.000 0.000 7.536
Tc 1.752 0.000 0.000
Pb 0.000 2.277 0.000
```

## Properties
Its density of states at the Fermi level is 2.1 states/eV/f.u. The energy of formation is 0.232 eV/atom. As for the symmetry: No. 71.

---

MgTcPb2: optimized geometry, PBE.

```
4
Lattice="1.615 0.932 10.623 -1.615 0.932 10.623 0.000 -1.865 10.623" Properties=species:S:1:pos:R:3 pbc="T T T"
Mg 0.000 0.000 0.000
Tc 0.000 0.000 23.314
Pb 0.000 0.000 7.806
Pb 0.000 0.000 14.888
```

## Properties
Its density of states at the Fermi level is 4.5 states/eV/f.u. The energy of formation is 0.405 eV/atom. As for the symmetry: No. 160.

---

MgTcPb2: optimized geometry, PBE.

```
4
Lattice="3.536 0.000 0.000 0.000 4.571 0.000 0.000 0.000 5.473" Properties=species:S:1:pos:R:3 pbc="T T T"
Mg 0.000 0.000 0.000
Tc 1.768 0.000 2.737
Pb 0.000 2.286 2.737
Pb 1.768 2.286 0.000
```

## Properties
Its density of states at the Fermi level is 3.0 states/eV/f.u. The energy of formation is 0.520 eV/atom. As for the symmetry: No. 47.

---

MgTcPb2: optimized geometry, PBE.

```
4
Lattice="3.589 0.000 0.000 0.000 4.599 0.000 -1.777 0.000 5.347" Properties=species:S:1:pos:R:3 pbc="T T T"
Mg 0.000 0.000 0.000
Tc 1.811 2.299 3.830
Pb 0.021 0.000 2.957
Pb 1.795 2.299 0.820
```

## Properties
Its density of states at the Fermi level is 2.6 states/eV/f.u. The energy of formation is 0.371 eV/atom. As for the symmetry: No. 6.

---

MgTcPb2: optimized geometry, PBE.

```
4
Lattice="-2.118 2.118 4.992 2.118 -2.118 4.992 2.118 2.118 -4.992" Properties=species:S:1:pos:R:3 pbc="T T T"
Mg 0.000 0.000 0.000
Tc 0.000 2.118 2.496
Pb 2.118 0.000 2.496
Pb 0.000 0.000 4.992
```
=====

Joana: Sex are you sure?

Doctor: Study shows that may induce labor, The natural way

Derin: No, what if I hit one of their heads?

Doctor: Their heads are extremely soft so I can reshape it.

Joana: Um okay thank you.

He smiled and left the room. What type of Doctor would suggest something like that? But nevertheless I'll try it.

Joana: Babe?

Derin: nuh uh

Joana: Come here, You scared of me?

Derin: Baby I don't feel comfortable with this

He said getting up from his chair walking to me.

Joana: Are you refusing me husband?

I couldn't help but smile at the thought of him being my future husband

Derin: No, Its just that I won't be able to perform seeing you this way. You got a catheter on baby

I laugh. I decided to go with drugs to induce the labor. I called back the doctor to let him know of our decision. After several dosage the contractions started up again. I got a epidural because I couldn't handle it, call me dramatic but nope not today. I felt like I was pushing forever, Was these kids playing hide and seek?

Doctor: Come on push for me I could see the head.

Derin: Oh thank God baby. Push!

Joana mom: Uh huh come from there Derin trust me you don't want to see that.

Joana Dad: I fainted when I seen Joana come out of there like a little alien.

Derin: Hahaha alright I won't look.

Joana dad: Trust me.

When the babies came out they did not look like what I expected. I honestly thought something was wrong. But the doctor reassure me thats how they look coming out the womb. They hand me them to breast feed; it went horrible. I was mentally tired, They were fed up with me cause they were not comfortable. They did not Lach on right. Ugh! I was greateful to my mother for bringing bottles. She said I did not breast feed either.

-- Calculated crystals that have nothing to do with the page --
........
[1]
A plane-wave DFT calculation with GGA-PBE was carried out for crystalline LiTlGePd at its relaxed geometry.

magnetic moment: 0.000 μB/atom
total energy: -3.728 eV/atom

Cell lengths 6.5866, 6.5866, 6.5866 Å; angles 90.00, 90.00, 90.00 degrees
Space group F-43m (No. 216)
One atom of each set of equivalent atoms:
Li (0.0000, 0.0000, 0.0000) [4 per cell]
Tl (0.2500, 0.2500, 0.7500) [4 per cell]
Ge (0.2500, 0.2500, 0.2500) [4 per cell]
Pd (0.0000, 0.0000, 0.5000) [4 per cell]

=====

[2]
A plane-wave DFT calculation with GGA-PBE was carried out for crystalline LiTmGe2Pd5 at its relaxed geometry.

magnetic moment: 0.000 μB/atom
total energy: -5.219 eV/atom

Cell lengths 4.2926, 4.2926, 8.2844 Å; angles 90.00, 90.00, 90.00 degrees
Space group P4/mmm (No. 123)
One atom of each set of equivalent atoms:
Li (0.0000, 0.0000, 0.0000) [1 per cell]
Tm (0.0000, 0.0000, 0.5000) [1 per cell]
Ge (0.5000, 0.5000, 0.3518) [2 per cell]
Pd (0.0000, 0.5000, 0.2130) [4 per cell]
Pd (0.5000, 0.5000, 0.0000) [1 per cell]

=====

| no. | DFT formation energy (eV per atom) |
| --- | --- |
| 1 | -0.21 |
| 2 | -0.60 |

~~~~~

Ac2PO | PBE | relaxed

abc: 4.0240 4.0240 21.6240
angles: 90.00 90.00 120.00
Last column: nearest neighbours and their distance in Å.
Fractional positions:
Ac (0.0000, 0.0000, 0.0000)  3 O 2.80, 3 P 2.99
Ac (0.0000, 0.0000, 0.1604)  3 P 2.98, 3 O 3.01
Ac (0.3333, 0.6667, 0.6667)  3 O 2.80, 3 P 2.99
Ac (0.3333, 0.6667, 0.8270)  3 P 2.98, 3 O 3.01
Ac (0.6667, 0.3333, 0.3333)  3 O 2.80, 3 P 2.99
Ac (0.6667, 0.3333, 0.4937)  3 P 2.98, 3 O 3.01
P (0.0000, 0.0000, 0.5797)  6 Ac 2.98-2.99
P (0.3333, 0.6667, 0.2463)  6 Ac 2.98-2.99
P (0.6667, 0.3333, 0.9130)  6 Ac 2.98-2.99
O (0.0000, 0.0000, 0.4054)  6 Ac 2.80-3.01
O (0.3333, 0.6667, 0.0721)  6 Ac 2.80-3.01
O (0.6667, 0.3333, 0.7388)  6 Ac 2.80-3.01

As for the energy relative to the elements, uncorrected: -1794 meV per atom. As for the magnetization: 0.0 μB per formula unit. For the density of states at the Fermi level, the calculation gives 0.647 states/eV per atom.
........

Derin: Thank you soo much Nana I can't wait to change your last name.

He said kissing my forehead. Getting one of the kids from me. This was the best day of my life. My babies looked scary but Derin was over the moon with them.